(Input)
# H10N2Si3

A cluster of 2 separate species, H10N2Si3 in total (wB97M-V/def2-TZVPD, the Open Molecules 2025 dataset).

XYZ file:
```
15
Properties=species:S:1:pos:R:3
N -0.30819 1.17412 2.67302
N -1.24771 0.63493 0.24044
Si 2.11431 0.65940 0.48200
Si -0.80575 -2.27706 -2.97943
Si 0.04440 1.49472 1.00099
H 0.29826 1.56379 3.37629
H -1.25642 1.12911 3.01574
H -1.45752 0.77083 -0.73484
H -2.06619 0.35123 0.75632
H 2.58808 -0.72761 0.62447
H 3.05625 1.46134 1.27590
H 2.34302 0.99741 -0.92787
H -0.75141 -3.47578 -3.79377
H -1.73285 -1.27088 -3.46291
H -0.81829 -2.48556 -1.54636
```

Values from the calculation:
- charge = 0
- calculated total energy (eV) = -26772.415
- LUMO (alpha / beta) (eV) = -0.681 / -0.366



# H10O5

A cluster of 5 separate species, H10O5 in total (wB97M-V/def2-TZVPD, the Open Molecules 2025 dataset).

XYZ file:
```
15
Properties=species:S:1:pos:R:3
O 0.00651 -0.18753 0.46989
H -0.17127 -0.22613 -0.46986
H 0.62573 -0.90047 0.62647
O 1.01212 2.53496 0.28095
H 1.60709 2.17984 0.94136
H 0.35453 1.85045 0.15747
O -2.81005 0.33225 1.42422
H -1.87483 0.18035 1.56034
H -2.96546 0.07367 0.51581
O 1.81784 -2.45204 0.48690
H 2.39779 -2.33235 -0.26514
H 2.39718 -2.73621 1.19390
O -0.94112 0.57585 -1.94391
H -1.24102 0.02659 -2.66821
H -0.21506 1.08071 -2.31022
```

Values from the calculation:
- charge = -1
- calculated total energy (eV) = -10399.450
- LUMO (alpha / beta) (eV) = 3.303 / 3.803
- 2S+1 = 2



# H10O5

A cluster of 5 separate species, H10O5 in total (wB97M-V/def2-TZVPD, the Open Molecules 2025 dataset).

XYZ file:
```
15
Properties=species:S:1:pos:R:3
O -0.17435 0.31190 -2.36865
H -0.01705 -0.48923 -2.96729
H -1.04957 0.29438 -1.99635
O 0.99338 0.52543 0.13432
H 1.57309 -0.14681 -0.10949
H 0.59718 0.60501 -0.71248
O -0.81759 -0.28265 2.32710
H -1.70359 0.14670 2.22427
H -0.35102 -0.02261 1.56344
O 0.95686 -2.70976 -0.79943
H 1.38826 -2.84316 0.05309
H 0.03221 -3.02258 -0.62866
O -0.50016 2.67083 1.43815
H -1.23934 2.62550 0.80624
H 0.31169 2.33705 1.03573
```

Values from the calculation:
- charge = 0
- structure (SMILES) = O.O.O.O.O
- calculated total energy (eV) = -10399.557
- LUMO (eV) = 0.113



# H10O5

A structure of composition H10O5 (wB97M-V/def2-TZVPD, the Open Molecules 2025 dataset).

XYZ file:
```
15
Properties=species:S:1:pos:R:3
O -8.75139 -17.25326 -19.49321
H -8.27637 -16.91411 -18.73453
H -9.34347 -16.54366 -19.74249
O -7.54144 -15.27462 -16.00989
H -6.98871 -15.80110 -15.43236
H -7.00283 -14.51466 -16.23034
O -7.75940 -14.81786 -20.06214
H -8.56990 -14.91833 -20.56139
H -8.03540 -14.85558 -19.14638
O -8.51461 -15.37898 -18.06437
H -8.82051 -14.67933 -17.48718
H -7.82801 -15.81991 -17.56398
O -9.43582 -15.80553 -15.13265
H -9.90023 -15.04333 -15.47848
H -8.52430 -15.66865 -15.39076
```

Values from the calculation:
- charge = 0
- calculated total energy (eV) = -10395.885
- LUMO (eV) = -0.517



# H10O5

A cluster of 5 separate species, H10O5 in total (wB97M-V/def2-TZVPD, the Open Molecules 2025 dataset).

XYZ file:
```
15
Properties=species:S:1:pos:R:3
O 0.30308 2.05034 -1.35458
H 0.69984 1.43225 -0.73045
H 0.06225 2.80954 -0.81179
O -2.28877 -1.83494 -0.75272
H -3.06384 -2.15130 -1.23040
H -2.65412 -1.28157 -0.05322
O 1.91894 -0.82979 -0.62418
H 1.69554 -1.74401 -0.83221
H 1.28743 -0.58421 0.06130
O -3.39049 0.62501 1.03140
H -3.28164 0.66936 1.98805
H -4.14786 1.19442 0.85490
O 4.64354 -0.25172 0.71315
H 4.43146 0.42307 1.36788
H 3.78464 -0.52645 0.37286
```

Values from the calculation:
- charge = 0
- structure (SMILES) = O.O.O.O.O
- calculated total energy (eV) = -10399.640
- LUMO (eV) = 0.237



# H10O5

A cluster of 5 separate species, H10O5 in total (wB97M-V/def2-TZVPD, the Open Molecules 2025 dataset).

XYZ file:
```
15
Properties=species:S:1:pos:R:3
O -24.79105 1.07785 4.77452
H -25.10796 0.18879 4.93409
H -24.00896 1.03695 4.23057
O -25.38001 -0.65307 7.78604
H -25.48721 0.23621 8.13703
H -25.93920 -0.65070 7.02419
O -26.19296 -1.15373 5.03507
H -26.09746 -2.04260 5.25435
(Work order)
It remains to quote the material above from the line with "-2.96546 0.07367" to the end with every line break kept.
(Completed)
H -2.96546 0.07367 0.51581
O 1.81784 -2.45204 0.48690
H 2.39779 -2.33235 -0.26514
H 2.39718 -2.73621 1.19390
O -0.94112 0.57585 -1.94391
H -1.24102 0.02659 -2.66821
H -0.21506 1.08071 -2.31022
```

Values from the calculation:
- charge = -1
- calculated total energy (eV) = -10399.450
- LUMO (alpha / beta) (eV) = 3.303 / 3.803
- 2S+1 = 2



# H10O5

A cluster of 5 separate species, H10O5 in total (wB97M-V/def2-TZVPD, the Open Molecules 2025 dataset).

XYZ file:
```
15
Properties=species:S:1:pos:R:3
O -0.17435 0.31190 -2.36865
H -0.01705 -0.48923 -2.96729
H -1.04957 0.29438 -1.99635
O 0.99338 0.52543 0.13432
H 1.57309 -0.14681 -0.10949
H 0.59718 0.60501 -0.71248
O -0.81759 -0.28265 2.32710
H -1.70359 0.14670 2.22427
H -0.35102 -0.02261 1.56344
O 0.95686 -2.70976 -0.79943
H 1.38826 -2.84316 0.05309
H 0.03221 -3.02258 -0.62866
O -0.50016 2.67083 1.43815
H -1.23934 2.62550 0.80624
H 0.31169 2.33705 1.03573
```

Values from the calculation:
- charge = 0
- structure (SMILES) = O.O.O.O.O
- calculated total energy (eV) = -10399.557
- LUMO (eV) = 0.113



# H10O5

A structure of composition H10O5 (wB97M-V/def2-TZVPD, the Open Molecules 2025 dataset).

XYZ file:
```
15
Properties=species:S:1:pos:R:3
O -8.75139 -17.25326 -19.49321
H -8.27637 -16.91411 -18.73453
H -9.34347 -16.54366 -19.74249
O -7.54144 -15.27462 -16.00989
H -6.98871 -15.80110 -15.43236
H -7.00283 -14.51466 -16.23034
O -7.75940 -14.81786 -20.06214
H -8.56990 -14.91833 -20.56139
H -8.03540 -14.85558 -19.14638
O -8.51461 -15.37898 -18.06437
H -8.82051 -14.67933 -17.48718
H -7.82801 -15.81991 -17.56398
O -9.43582 -15.80553 -15.13265
H -9.90023 -15.04333 -15.47848
H -8.52430 -15.66865 -15.39076
```

Values from the calculation:
- charge = 0
- calculated total energy (eV) = -10395.885
- LUMO (eV) = -0.517



# H10O5

A cluster of 5 separate species, H10O5 in total (wB97M-V/def2-TZVPD, the Open Molecules 2025 dataset).

XYZ file:
```
15
Properties=species:S:1:pos:R:3
O 0.30308 2.05034 -1.35458
H 0.69984 1.43225 -0.73045
H 0.06225 2.80954 -0.81179
O -2.28877 -1.83494 -0.75272
H -3.06384 -2.15130 -1.23040
H -2.65412 -1.28157 -0.05322
O 1.91894 -0.82979 -0.62418
H 1.69554 -1.74401 -0.83221
H 1.28743 -0.58421 0.06130
O -3.39049 0.62501 1.03140
H -3.28164 0.66936 1.98805
H -4.14786 1.19442 0.85490
O 4.64354 -0.25172 0.71315
H 4.43146 0.42307 1.36788
H 3.78464 -0.52645 0.37286
```

Values from the calculation:
- charge = 0
- structure (SMILES) = O.O.O.O.O
- calculated total energy (eV) = -10399.640
- LUMO (eV) = 0.237



# H10O5

A cluster of 5 separate species, H10O5 in total (wB97M-V/def2-TZVPD, the Open Molecules 2025 dataset).

XYZ file:
```
15
Properties=species:S:1:pos:R:3
O -24.79105 1.07785 4.77452
H -25.10796 0.18879 4.93409
H -24.00896 1.03695 4.23057
O -25.38001 -0.65307 7.78604
H -25.48721 0.23621 8.13703
H -25.93920 -0.65070 7.02419
O -26.19296 -1.15373 5.03507
H -26.09746 -2.04260 5.25435